## Activity
Your job: reproduce everything further down character by character.
## Input
No. 1
Np2GaSi3Ni4 | GGA-PBE | relaxed

Computed properties:
ΔE_f (raw) (eV/atom): -0.475
E_tot (eV per atom): -7.305

Cell and atoms, written as CIF:
```
data_Np2GaSi3Ni4
_chemical_formula_sum 'Np2 Ga1 Si3 Ni4'
_cell_length_a 3.982
_cell_length_b 3.982
_cell_length_c 9.624
_cell_angle_alpha 90.00
_cell_angle_beta 90.00
_cell_angle_gamma 90.00
_space_group_name_H-M_alt 'P -4 m 2'
_space_group_IT_number 115
loop_
_space_group_symop_operation_xyz
'x,y,z'
'y,-x,-z'
'-x,-y,z'
'-y,x,-z'
'-x,y,z'
'-y,-x,-z'
'x,-y,z'
'y,x,-z'
loop_
_atom_site_label
_atom_site_type_symbol
_atom_site_fract_x
_atom_site_fract_y
_atom_site_fract_z
Np1 Np 0.000 0.500 0.246
Ga1 Ga 0.000 0.000 0.500
Si1 Si 0.000 0.500 0.873
Si2 Si 0.500 0.500 0.500
Ni1 Ni 0.000 0.000 0.000
Ni2 Ni 0.000 0.500 0.635
Ni3 Ni 0.500 0.500 0.000
```

No. 2
NpGaTcNi | GGA-PBE | relaxed

Computed properties:
ΔE_f (eV per atom): -0.04
E_tot (eV per atom): -8.071

Cell and atoms, written as CIF:
```
data_NpGaTcNi
_chemical_formula_sum 'Np4 Ga4 Tc4 Ni4'
_cell_length_a 6.371
_cell_length_b 6.371
_cell_length_c 6.371
_cell_angle_alpha 90.00
_cell_angle_beta 90.00
_cell_angle_gamma 90.00
_space_group_name_H-M_alt 'F -4 3 m'
_space_group_IT_number 216
_space_group_name_Hall 'F -4 2 3'
loop_
_atom_site_label
_atom_site_type_symbol
_atom_site_fract_x
_atom_site_fract_y
_atom_site_fract_z
Np1 Np 0.000 0.000 0.000
Ga1 Ga 0.000 0.000 0.500
Tc1 Tc 0.250 0.250 0.250
Ni1 Ni 0.250 0.250 0.750
```

Please write out number 1 again, unchanged.
Np2GaSi3Ni4 | GGA-PBE | relaxed

Computed properties:
ΔE_f (raw) (eV/atom): -0.475
E_tot (eV per atom): -7.305

Cell and atoms, written as CIF:
```
data_Np2GaSi3Ni4
_chemical_formula_sum 'Np2 Ga1 Si3 Ni4'
_cell_length_a 3.982
_cell_length_b 3.982
_cell_length_c 9.624
_cell_angle_alpha 90.00
_cell_angle_beta 90.00
_cell_angle_gamma 90.00
_space_group_name_H-M_alt 'P -4 m 2'
_space_group_IT_number 115
loop_
_space_group_symop_operation_xyz
'x,y,z'
'y,-x,-z'
'-x,-y,z'
'-y,x,-z'
'-x,y,z'
'-y,-x,-z'
'x,-y,z'
'y,x,-z'
loop_
_atom_site_label
_atom_site_type_symbol
_atom_site_fract_x
_atom_site_fract_y
_atom_site_fract_z
Np1 Np 0.000 0.500 0.246
Ga1 Ga 0.000 0.000 0.500
Si1 Si 0.000 0.500 0.873
Si2 Si 0.500 0.500 0.500
Ni1 Ni 0.000 0.000 0.000
Ni2 Ni 0.000 0.500 0.635
Ni3 Ni 0.500 0.500 0.000
```


## CrPt2Rh9 (PBE-GGA)

Data for a relaxed structure of CrPt2Rh9.

Structure (POSCAR):
```
CrPt2Rh9
1.0
-3.0905 -0.2929 -2.2659
-1.4726 -2.6589 2.3523
-5.2592 8.3087 6.0991
Rh Pt Cr
9 2 1
Cartesian
-5.1544 5.6504 6.2998 Rh
-3.3659 2.8249 4.2257 Rh
-4.1749 4.0079 1.9166 Rh
-2.3864 1.1824 -0.1575 Rh
-2.2816 -1.4759 0.0432 Rh
-5.8068 4.0933 4.1313 Rh
-4.0156 1.2636 2.0541 Rh
-5.9633 6.8334 3.9907 Rh
-1.5774 -0.0006 2.1516 Rh
-3.5042 5.5360 4.0637 Pt
-1.7550 2.7727 2.0353 Pt
0.0000 0.0000 0.0000 Cr
```

## Properties
Energy relative to the elements ... -68 meV per atom
SG ... P4/mmm (123)

---

## CrPtRh4 (PBE-GGA)

Data for a relaxed structure of CrPtRh4.

Structure (POSCAR):
```
CrPtRh4
1.0
2.7010 -0.1069 0.0001
0.1505 3.8024 0.0001
-0.0002 -0.0002 8.1754
Cr Rh Pt
1 4 1
Cartesian
1.4257 1.8477 4.0878 Cr
1.4257 1.8476 6.7317 Rh
1.4256 1.8477 1.4439 Rh
2.8513 3.6954 2.8109 Rh
0.0000 -0.0001 5.3647 Rh
0.0000 0.0000 0.0000 Pt
```

## Properties
Excess energy over the best structure of this formula in the dataset ... 0 meV per atom
Energy relative to the elements ... -56 meV per atom
SG ... Pmmm (47)

---

## CrPt2Rh (PBE-GGA)

Data for a relaxed structure of CrPt2Rh.

Structure (POSCAR):
```
CrPt2Rh
1.0
-3.5809 0.7936 1.1568
-0.7745 -2.5637 -0.6388
0.5036 -4.2149 4.4505
Rh Pt Cr
1 2 1
Cartesian
-1.8582 -1.2979 1.5313 Rh
0.4955 -4.2061 4.4193 Pt
-0.1273 -3.3981 1.9371 Pt
-1.9936 -4.6872 3.4372 Cr
```

## Properties
Energy relative to the elements ... -149 meV per atom
SG ... Pmmm (47)

---

## CrPt14Rh (PBE-GGA)

Data for a relaxed structure of CrPt14Rh.

Structure (POSCAR):
```
CrPt14Rh
1.0
5.6134 -0.0119 0.0000
0.0119 5.6134 0.0000
0.0000 0.0000 7.8219
Pt Rh Cr
14 1 1
Cartesian
## Completed
No. 1
Np2GaSi3Ni4 | GGA-PBE | relaxed

Computed properties:
ΔE_f (raw) (eV/atom): -0.475
E_tot (eV per atom): -7.305

Cell and atoms, written as CIF:
```
data_Np2GaSi3Ni4
_chemical_formula_sum 'Np2 Ga1 Si3 Ni4'
_cell_length_a 3.982
_cell_length_b 3.982
_cell_length_c 9.624
_cell_angle_alpha 90.00
_cell_angle_beta 90.00
_cell_angle_gamma 90.00
_space_group_name_H-M_alt 'P -4 m 2'
_space_group_IT_number 115
loop_
_space_group_symop_operation_xyz
'x,y,z'
'y,-x,-z'
'-x,-y,z'
'-y,x,-z'
'-x,y,z'
'-y,-x,-z'
'x,-y,z'
'y,x,-z'
loop_
_atom_site_label
_atom_site_type_symbol
_atom_site_fract_x
_atom_site_fract_y
_atom_site_fract_z
Np1 Np 0.000 0.500 0.246
Ga1 Ga 0.000 0.000 0.500
Si1 Si 0.000 0.500 0.873
Si2 Si 0.500 0.500 0.500
Ni1 Ni 0.000 0.000 0.000
Ni2 Ni 0.000 0.500 0.635
Ni3 Ni 0.500 0.500 0.000
```

No. 2
NpGaTcNi | GGA-PBE | relaxed

Computed properties:
ΔE_f (eV per atom): -0.04
E_tot (eV per atom): -8.071

Cell and atoms, written as CIF:
```
data_NpGaTcNi
_chemical_formula_sum 'Np4 Ga4 Tc4 Ni4'
_cell_length_a 6.371
_cell_length_b 6.371
_cell_length_c 6.371
_cell_angle_alpha 90.00
_cell_angle_beta 90.00
_cell_angle_gamma 90.00
_space_group_name_H-M_alt 'F -4 3 m'
_space_group_IT_number 216
_space_group_name_Hall 'F -4 2 3'
loop_
_atom_site_label
_atom_site_type_symbol
_atom_site_fract_x
_atom_site_fract_y
_atom_site_fract_z
Np1 Np 0.000 0.000 0.000
Ga1 Ga 0.000 0.000 0.500
Tc1 Tc 0.250 0.250 0.250
Ni1 Ni 0.250 0.250 0.750
```

Please write out number 1 again, unchanged.
Np2GaSi3Ni4 | GGA-PBE | relaxed

Computed properties:
ΔE_f (raw) (eV/atom): -0.475
E_tot (eV per atom): -7.305

Cell and atoms, written as CIF:
```
data_Np2GaSi3Ni4
_chemical_formula_sum 'Np2 Ga1 Si3 Ni4'
_cell_length_a 3.982
_cell_length_b 3.982
_cell_length_c 9.624
_cell_angle_alpha 90.00
_cell_angle_beta 90.00
_cell_angle_gamma 90.00
_space_group_name_H-M_alt 'P -4 m 2'
_space_group_IT_number 115
loop_
_space_group_symop_operation_xyz
'x,y,z'
'y,-x,-z'
'-x,-y,z'
'-y,x,-z'
'-x,y,z'
'-y,-x,-z'
'x,-y,z'
'y,x,-z'
loop_
_atom_site_label
_atom_site_type_symbol
_atom_site_fract_x
_atom_site_fract_y
_atom_site_fract_z
Np1 Np 0.000 0.500 0.246
Ga1 Ga 0.000 0.000 0.500
Si1 Si 0.000 0.500 0.873
Si2 Si 0.500 0.500 0.500
Ni1 Ni 0.000 0.000 0.000
Ni2 Ni 0.000 0.500 0.635
Ni3 Ni 0.500 0.500 0.000
```


## CrPt2Rh9 (PBE-GGA)

Data for a relaxed structure of CrPt2Rh9.

Structure (POSCAR):
```
CrPt2Rh9
1.0
-3.0905 -0.2929 -2.2659
-1.4726 -2.6589 2.3523
-5.2592 8.3087 6.0991
Rh Pt Cr
9 2 1
Cartesian
-5.1544 5.6504 6.2998 Rh
-3.3659 2.8249 4.2257 Rh
-4.1749 4.0079 1.9166 Rh
-2.3864 1.1824 -0.1575 Rh
-2.2816 -1.4759 0.0432 Rh
-5.8068 4.0933 4.1313 Rh
-4.0156 1.2636 2.0541 Rh
-5.9633 6.8334 3.9907 Rh
-1.5774 -0.0006 2.1516 Rh
-3.5042 5.5360 4.0637 Pt
-1.7550 2.7727 2.0353 Pt
0.0000 0.0000 0.0000 Cr
```

## Properties
Energy relative to the elements ... -68 meV per atom
SG ... P4/mmm (123)

---

## CrPtRh4 (PBE-GGA)

Data for a relaxed structure of CrPtRh4.

Structure (POSCAR):
```
CrPtRh4
1.0
2.7010 -0.1069 0.0001
0.1505 3.8024 0.0001
-0.0002 -0.0002 8.1754
Cr Rh Pt
1 4 1
Cartesian
1.4257 1.8477 4.0878 Cr
1.4257 1.8476 6.7317 Rh
1.4256 1.8477 1.4439 Rh
2.8513 3.6954 2.8109 Rh
0.0000 -0.0001 5.3647 Rh
0.0000 0.0000 0.0000 Pt
```

## Properties
Excess energy over the best structure of this formula in the dataset ... 0 meV per atom
Energy relative to the elements ... -56 meV per atom
SG ... Pmmm (47)

---

## CrPt2Rh (PBE-GGA)

Data for a relaxed structure of CrPt2Rh.

Structure (POSCAR):
```
CrPt2Rh
1.0
-3.5809 0.7936 1.1568
-0.7745 -2.5637 -0.6388
0.5036 -4.2149 4.4505
Rh Pt Cr
1 2 1
Cartesian
-1.8582 -1.2979 1.5313 Rh
0.4955 -4.2061 4.4193 Pt
-0.1273 -3.3981 1.9371 Pt
-1.9936 -4.6872 3.4372 Cr
```

## Properties
Energy relative to the elements ... -149 meV per atom
SG ... Pmmm (47)

---

## CrPt14Rh (PBE-GGA)

Data for a relaxed structure of CrPt14Rh.

Structure (POSCAR):
```
CrPt14Rh
1.0
5.6134 -0.0119 0.0000
0.0119 5.6134 0.0000
0.0000 0.0000 7.8219
Pt Rh Cr
14 1 1
Cartesian